-- Assignment --
Retype everything underneath character by character.

-- Contents --
+++
1.
Below is a molecular structure, C11H19AuClINOP in a non-equilibrium geometry, with properties calculated with ωB97M-V/def2-TZVPD.

Computed properties:
ΔE to the lowest compared entry with this formula, charge and spin = 779.8 kJ/mol
2S+1 = 3
Frontier orbital gap (spin up / spin down) = 6.762 / 6.321 eV
Charge = +2

Last column: Mulliken charge in e.
Atoms and positions in Å:
C (1.380920, -2.351636, 1.212319)  -0.90
I (1.873649, 0.303805, 3.154791)  0.14
H (0.239172, -2.333592, 1.079660)  0.45
H (1.968684, -1.894144, 2.045855)  0.30
H (1.838889, -2.406261, 0.138962)  0.30
Au (0.814894, 0.823912, -2.443304)  0.74
P (-0.690542, 0.845154, -4.309638)  0.30
C (1.265476, 1.212546, -4.514522)  -1.08
C (-1.284587, -1.013613, -3.953469)  -0.83
H (-2.467634, 1.313514, -2.841959)  0.30
H (-2.610723, 2.719992, -3.910973)  0.35
H (-1.123350, 2.613781, -2.719963)  0.32
C (-1.843469, 2.041299, -3.377537)  -0.79
H (-2.099924, -0.904154, -3.204899)  0.33
H (-1.741101, -1.610618, -4.769916)  0.37
H (1.657538, 1.221604, -5.495942)  0.45
H (1.919530, 0.316296, -4.211131)  0.33
H (-0.340002, -1.520797, -3.597331)  0.32
H (1.517967, 2.173970, -4.052046)  0.42
C (2.054549, -0.082773, -1.052526)  0.11
O (2.550445, 0.048295, -0.022636)  -0.11
Cl (-0.842936, 0.222698, -0.947363)  -0.52
N (-0.599555, -0.894745, 2.650994)  -0.26
C (-0.613796, -0.838720, 4.003471)  0.91
C (0.737440, -0.805265, 4.671269)  0.11
C (1.016035, -0.277623, 6.035288)  -0.42
C (0.024985, 0.373481, 6.730093)  -0.34
C (-1.263317, 0.370308, 6.102464)  -0.16
C (-1.592047, -0.129488, 4.784007)  -0.64
H (0.275630, -0.728759, 1.894925)  -0.06
H (-1.362482, -0.572332, 2.082014)  0.13
H (1.607291, -1.278730, 4.192821)  0.08
H (2.026811, -0.140972, 6.436500)  0.38
H (0.165483, 0.963046, 7.738503)  0.34
H (-2.134110, 0.855907, 6.683902)  0.32
H (-2.481413, 0.180316, 4.193718)  0.31

Atoms 1-6, force components in eV/Å:
-0.6 0.1 -3.0
2.2 3.9 0.4
2.1 -0.4 0.8
-0.8 -1.2 -1.2
-0.4 -0.2 2.5
-0.4 -0.9 0.9

***

2.
Below is a molecular structure, C28H31BrCuN9SeSi, with properties calculated with ωB97M-V/def2-TZVPD.

Computed properties:
2S+1 = 2
Frontier orbital gap (spin up / spin down) = 6.839 / 6.119 eV
Charge = -1

Last column: Mulliken charge in e.
Atoms and positions in Å:
Cu (0.495676, -0.284140, 0.709976)  -0.61
C (3.134044, 1.555720, 1.450260)  -1.49
C (2.228618, 2.171841, 0.422267)  0.81
C (2.499138, 3.412197, -0.102754)  -0.83
C (1.596903, 3.946505, -1.042613)  -0.66
C (0.474837, 3.261005, -1.397524)  -0.63
C (0.193778, 1.969136, -0.822729)  0.20
N (1.128298, 1.476481, 0.065884)  1.28
N (-0.883490, 1.249888, -0.989508)  0.32
Si (-2.327704, 1.787604, -1.709307)  -0.24
C (-2.168141, 2.212192, -3.535898)  -1.29
C (-3.627614, 0.460125, -1.547483)  -0.77
C (-3.027895, 3.305587, -0.856475)  -1.03
H (3.549449, 2.330751, 2.093920)  0.51
H (3.958222, 1.032259, 0.966738)  0.06
H (2.602433, 0.828859, 2.066433)  0.11
H (3.385909, 3.948386, 0.204384)  0.45
H (1.788737, 4.923100, -1.473578)  0.40
H (-0.233015, 3.670076, -2.106923)  0.26
H (-1.423284, 1.577304, -4.024794)  0.35
H (-1.871113, 3.254475, -3.688247)  0.37
H (-3.126089, 2.061165, -4.044164)  0.36
H (-3.345143, -0.430976, -2.110262)  -0.01
H (-4.590444, 0.812635, -1.931844)  0.46
H (-3.764289, 0.177605, -0.498215)  0.20
H (-2.352762, 4.164366, -0.911756)  0.34
H (-3.225727, 3.100173, 0.202335)  0.29
H (-3.973422, 3.590564, -1.331170)  0.40
N (-0.729830, 2.482993, 2.301207)  -0.31
C (-1.502732, 1.373431, 2.404312)  0.51
N (-2.703465, 1.561510, 2.951779)  -0.75
C (-3.390506, 0.425382, 3.143647)  0.51
N (-4.637846, 0.578707, 3.682963)  -0.46
N (-2.996260, -0.806024, 2.897730)  -0.71
C (-1.763919, -0.917090, 2.337426)  0.22
N (-0.997025, 0.187870, 2.025292)  0.06
C (-1.244199, -2.171744, 2.067645)  -0.12
C (-1.703178, -3.378690, 2.658295)  -1.01
C (-0.818689, -4.385578, 2.889174)  -0.80
C (0.581482, -4.076139, 2.699158)  -0.33
C (0.973403, -3.007350, 1.993262)  -1.29
N (-0.042601, -2.279234, 1.240588)  2.55
+++

-- Outcome --
1.
Below is a molecular structure, C11H19AuClINOP in a non-equilibrium geometry, with properties calculated with ωB97M-V/def2-TZVPD.

Computed properties:
ΔE to the lowest compared entry with this formula, charge and spin = 779.8 kJ/mol
2S+1 = 3
Frontier orbital gap (spin up / spin down) = 6.762 / 6.321 eV
Charge = +2

Last column: Mulliken charge in e.
Atoms and positions in Å:
C (1.380920, -2.351636, 1.212319)  -0.90
I (1.873649, 0.303805, 3.154791)  0.14
H (0.239172, -2.333592, 1.079660)  0.45
H (1.968684, -1.894144, 2.045855)  0.30
H (1.838889, -2.406261, 0.138962)  0.30
Au (0.814894, 0.823912, -2.443304)  0.74
P (-0.690542, 0.845154, -4.309638)  0.30
C (1.265476, 1.212546, -4.514522)  -1.08
C (-1.284587, -1.013613, -3.953469)  -0.83
H (-2.467634, 1.313514, -2.841959)  0.30
H (-2.610723, 2.719992, -3.910973)  0.35
H (-1.123350, 2.613781, -2.719963)  0.32
C (-1.843469, 2.041299, -3.377537)  -0.79
H (-2.099924, -0.904154, -3.204899)  0.33
H (-1.741101, -1.610618, -4.769916)  0.37
H (1.657538, 1.221604, -5.495942)  0.45
H (1.919530, 0.316296, -4.211131)  0.33
H (-0.340002, -1.520797, -3.597331)  0.32
H (1.517967, 2.173970, -4.052046)  0.42
C (2.054549, -0.082773, -1.052526)  0.11
O (2.550445, 0.048295, -0.022636)  -0.11
Cl (-0.842936, 0.222698, -0.947363)  -0.52
N (-0.599555, -0.894745, 2.650994)  -0.26
C (-0.613796, -0.838720, 4.003471)  0.91
C (0.737440, -0.805265, 4.671269)  0.11
C (1.016035, -0.277623, 6.035288)  -0.42
C (0.024985, 0.373481, 6.730093)  -0.34
C (-1.263317, 0.370308, 6.102464)  -0.16
C (-1.592047, -0.129488, 4.784007)  -0.64
H (0.275630, -0.728759, 1.894925)  -0.06
H (-1.362482, -0.572332, 2.082014)  0.13
H (1.607291, -1.278730, 4.192821)  0.08
H (2.026811, -0.140972, 6.436500)  0.38
H (0.165483, 0.963046, 7.738503)  0.34
H (-2.134110, 0.855907, 6.683902)  0.32
H (-2.481413, 0.180316, 4.193718)  0.31

Atoms 1-6, force components in eV/Å:
-0.6 0.1 -3.0
2.2 3.9 0.4
2.1 -0.4 0.8
-0.8 -1.2 -1.2
-0.4 -0.2 2.5
-0.4 -0.9 0.9

***

2.
Below is a molecular structure, C28H31BrCuN9SeSi, with properties calculated with ωB97M-V/def2-TZVPD.

Computed properties:
2S+1 = 2
Frontier orbital gap (spin up / spin down) = 6.839 / 6.119 eV
Charge = -1

Last column: Mulliken charge in e.
Atoms and positions in Å:
Cu (0.495676, -0.284140, 0.709976)  -0.61
C (3.134044, 1.555720, 1.450260)  -1.49
C (2.228618, 2.171841, 0.422267)  0.81
C (2.499138, 3.412197, -0.102754)  -0.83
C (1.596903, 3.946505, -1.042613)  -0.66
C (0.474837, 3.261005, -1.397524)  -0.63
C (0.193778, 1.969136, -0.822729)  0.20
N (1.128298, 1.476481, 0.065884)  1.28
N (-0.883490, 1.249888, -0.989508)  0.32
Si (-2.327704, 1.787604, -1.709307)  -0.24
C (-2.168141, 2.212192, -3.535898)  -1.29
C (-3.627614, 0.460125, -1.547483)  -0.77
C (-3.027895, 3.305587, -0.856475)  -1.03
H (3.549449, 2.330751, 2.093920)  0.51
H (3.958222, 1.032259, 0.966738)  0.06
H (2.602433, 0.828859, 2.066433)  0.11
H (3.385909, 3.948386, 0.204384)  0.45
H (1.788737, 4.923100, -1.473578)  0.40
H (-0.233015, 3.670076, -2.106923)  0.26
H (-1.423284, 1.577304, -4.024794)  0.35
H (-1.871113, 3.254475, -3.688247)  0.37
H (-3.126089, 2.061165, -4.044164)  0.36
H (-3.345143, -0.430976, -2.110262)  -0.01
H (-4.590444, 0.812635, -1.931844)  0.46
H (-3.764289, 0.177605, -0.498215)  0.20
H (-2.352762, 4.164366, -0.911756)  0.34
H (-3.225727, 3.100173, 0.202335)  0.29
H (-3.973422, 3.590564, -1.331170)  0.40
N (-0.729830, 2.482993, 2.301207)  -0.31
C (-1.502732, 1.373431, 2.404312)  0.51
N (-2.703465, 1.561510, 2.951779)  -0.75
C (-3.390506, 0.425382, 3.143647)  0.51
N (-4.637846, 0.578707, 3.682963)  -0.46
N (-2.996260, -0.806024, 2.897730)  -0.71
C (-1.763919, -0.917090, 2.337426)  0.22
N (-0.997025, 0.187870, 2.025292)  0.06
C (-1.244199, -2.171744, 2.067645)  -0.12
C (-1.703178, -3.378690, 2.658295)  -1.01
C (-0.818689, -4.385578, 2.889174)  -0.80
C (0.581482, -4.076139, 2.699158)  -0.33
C (0.973403, -3.007350, 1.993262)  -1.29
N (-0.042601, -2.279234, 1.240588)  2.55